What is the New York Center for Energy & Carbon Management Training (E-CMT)?
This new training program is led by The CUNY Institute for Urban Systems – Building Performance Lab (CUNY BPL). It offers training in building energy fundamentals with a focus on hands-on lab experience and opportunities to gain multiple industry-recognized professional certifications. It aims to create a diverse workforce skilled in new building energy technologies, particularly for the Weatherization Assistance Program.
Who is eligible to participate in this program?
The program targets new workforce entrants, including college students, youth with a HS diploma or GED, adults re-entering the labor market or changing careers, veterans, and formerly incarcerated individuals. It also caters to incumbent workers in the energy sector seeking further specialization.
What kind of certifications can I earn through this program?
Participants can earn various industry-recognized certifications, including those from the Building Performance Institute (BPI), the Northwest Energy Efficiency Council (NEEC), and others.
Data records, kept here for reference:
-- begin --
(1)
-- stop --
How long is the program, and what is the time commitment?
The program runs through 2027. It will consist of four 45 hour courses. Training durations vary with options for different levels of commitment, depending on whether participants are matriculated students or pursuing continuing education.
Is this program suitable for people with no prior experience in energy technology?
### Records of molecules, kept here for reference
No. 1
C6H12 | wB97M-V/def2-TZVPD

Summary:
- DFT total energy (eV) = -6411.4968
- E_HOMO (eV) = -8.879
- orbital gap (eV) = 9.96

Cartesian coordinates (Å):
C 2.448 -0.022 -0.293
C 1.275 -0.815 0.256
C -0.126 0.003 0.168
C -1.192 -0.733 -0.019
C -2.550 -0.153 -0.158
C -0.025 1.553 0.117
H 3.442 -0.618 -0.374
H 2.612 0.713 0.105
H 2.351 0.145 -1.372
H 1.238 -1.767 -0.230
H 1.690 -1.039 1.535
H -1.307 -1.670 0.028
H -3.258 -0.572 0.472
H -3.094 -0.534 -1.091
H -2.750 0.955 0.101
H 0.660 1.683 1.067
H 0.359 1.810 -0.748
H -0.928 1.891 0.089

No. 2
C52H40F5IN11O3SbV | wB97M-V/def2-TZVPD

Summary:
- DFT total energy (eV) = -130998.2827
- E_HOMO (spin up / spin down) (eV) = -10.504 / -10.746
- total charge = +2
- expectation value of S² = 3.805
- orbital gap (spin up / spin down) (eV) = 4.59 / 5.16
- multiplicity = 4

Cartesian coordinates (Å):
V 0.032 -0.380 0.822
C -5.811 -2.579 3.563
C -4.536 -3.217 3.869
C -4.330 -4.179 4.900
C -3.009 -4.659 5.070
C -2.017 -4.211 4.216
C -2.385 -3.388 3.126
N -3.559 -2.806 3.038
Sb -1.000 -2.706 1.489
C -2.187 -1.229 0.244
C -3.468 -1.657 -0.082
C -4.144 -0.902 -1.050
C -3.629 0.336 -1.404
C -2.385 0.757 -0.946
C -1.904 2.184 -1.147
N -1.678 -0.109 -0.221
C 1.162 -2.211 1.551
C 2.137 -3.284 1.471
C 3.385 -2.997 1.998
C 3.677 -1.754 2.540
C 2.773 -0.673 2.443
C 3.083 0.736 2.924
N 1.557 -0.997 1.967
H -6.431 -3.196 2.862
H -5.714 -1.513 3.111
H -6.404 -2.513 4.498
H -5.169 -4.497 5.548
H -2.712 -5.429 5.769
H -1.031 -4.510 4.392
H -3.951 -2.503 0.342
H -5.054 -1.304 -1.506
H -4.218 1.040 -2.009
H -1.352 2.284 -2.056
H -1.311 2.471 -0.298
H -2.767 2.865 -1.218
H 1.857 -4.193 1.024
H 4.122 -3.773 1.868
H 4.657 -1.580 2.989
H 4.176 0.693 3.076
H 2.574 0.896 3.901
H 2.816 1.574 2.229
F -1.401 -3.261 -5.260
C -0.290 -2.469 -5.108
C -0.048 -2.153 -3.815
C 0.893 -1.144 -3.488
C 1.094 -0.648 -2.113
O 0.763 -1.325 -1.009
C 1.895 0.583 -2.010
C 2.469 1.063 -3.149
N 2.460 0.478 -4.367
C 3.078 1.146 -5.440
C 4.264 0.417 -6.124
C 4.475 1.589 -5.261
C 1.603 -0.581 -4.588
C 1.393 -1.002 -5.948
C 0.448 -1.998 -6.249
N 0.250 -2.514 -7.561
C 0.241 -1.499 -8.592
C 0.606 -2.074 -10.014
N -0.286 -3.219 -10.236
C -0.226 -4.298 -9.196
C -0.591 -3.719 -7.816
C 2.011 1.392 -0.722
O 3.011 2.104 -0.567
O 0.975 1.263 0.077
H -0.646 -2.636 -3.010
H 2.987 2.051 -3.103
H 2.504 1.850 -6.091
H 4.390 0.535 -7.204
H 4.514 -0.589 -5.709
H 4.792 2.570 -5.699
H 4.859 1.486 -4.206
H 1.882 -0.487 -6.795
H 1.005 -0.732 -8.310
H -0.696 -0.969 -8.740
H 1.694 -2.324 -10.111
H 0.473 -1.374 -10.820
H -0.233 -3.651 -11.178
H -1.293 -2.872 -10.207
H 0.801 -4.633 -9.231
H -0.975 -5.063 -9.442
H -0.424 -4.450 -7.013
H -1.662 -3.547 -7.748
I 1.168 -2.919 6.572
C 1.055 -0.935 7.322
C 0.446 -0.841 8.589
C 0.390 0.410 9.121
C 1.071 1.437 8.487
C 1.707 1.218 7.279
N 1.681 0.037 6.642
H -0.130 -1.639 9.057
H -0.201 0.613 10.017
H 1.202 2.425 8.883
H 2.227 2.031 6.761
F -3.007 4.720 5.323
C -1.795 5.065 4.887
C -1.264 6.258 5.313
F -1.875 6.844 6.442
C 0.103 6.672 4.897
Yes, the program is designed for both beginners and those with experience, offering foundational courses and advanced specializations.
Are there any costs involved in participating in the program?
Initial offerings may be free for pilot participants with a stipend available to cover registration or tuition fees.
How does this program support diverse and non-traditional students?
The program aims to achieve a diversity, equity, and inclusion target of at least 50% from disadvantaged communities. Stipend support and wrap-around services are available based on need.
What kind of hands-on experience will I get?
Participants will engage in lab work, workshops, and field visits. Students will also have the opportunity to be placed into paid traineeships within the Weatherization Assistance Program.
• Attached: calculated molecules:
'''
DFT (ωB97M-V/def2-TZVPD) results for a structure of composition C30H42NO5PTc in a non-equilibrium geometry.

```
80
Properties=species:S:1:pos:R:3:forces:R:3:mulliken_charge:R:1
C -0.55851 1.75326 0.65306 -0.1 0.0 0.1 -0.08
H -1.57964 0.48087 2.78204 0.0 0.0 0.0 0.74
Tc 2.30468 -0.37398 -1.76046 0.3 -1.2 -1.0 0.66
H -0.18037 -3.41522 1.88558 0.0 0.0 0.0 0.42
O 2.58289 -3.62915 -2.13162 0.1 -0.2 -0.2 -0.27
C -3.71840 -2.04658 -0.23046 0.1 0.0 -0.1 0.01
C -0.09081 4.69193 -3.08507 0.0 -0.1 0.0 -0.80
H 0.54008 -0.67693 5.13512 0.0 0.0 0.0 0.49
H -0.77862 5.44538 -3.44316 0.0 0.0 0.0 0.46
C -1.39616 -2.37954 -2.02693 0.0 0.1 0.0 -1.08
H -2.64894 -0.69018 2.03726 0.0 0.0 0.0 0.27
O 0.57235 -0.37579 -1.03327 -0.1 0.2 0.4 1.24
C 2.45595 -2.37662 -2.18850 0.0 0.5 0.3 0.46
C -1.30828 2.83529 1.44722 0.0 0.0 0.0 -1.05
C 1.87887 -0.58690 1.93727 -0.1 0.0 0.0 -0.90
H 0.23469 1.30370 -3.04346 0.0 0.0 0.0 0.40
H -1.27320 3.04799 -3.84453 0.0 0.0 0.0 0.49
H -0.97364 3.81630 1.10864 0.0 0.0 0.0 0.55
H -0.41811 2.08329 -0.37211 0.0 0.0 -0.1 -0.34
C 1.96912 4.06908 -1.99773 0.0 0.1 0.0 1.35
H 1.51715 -2.15421 0.50669 0.1 -0.1 0.1 -1.25
H -2.35925 -2.73109 1.32511 0.0 0.0 0.0 0.29
H -2.74863 -1.66619 -3.53286 0.0 0.0 0.0 0.52
C -2.81797 2.69522 1.27002 0.0 0.0 0.0 -0.77
H -4.04393 -3.15858 -2.04632 0.0 0.0 0.0 0.33
H 3.52373 -5.06443 -1.02803 0.0 0.0 0.0 0.34
C -2.21279 0.30033 1.91379 0.0 0.0 0.0 -1.23
C 2.81604 -4.26794 -0.83314 0.0 0.1 -0.1 -0.54
O 5.76543 1.05059 -0.61369 0.0 -0.1 -0.1 -0.45
H 2.11606 0.21370 1.22484 0.0 0.0 0.0 -0.12
C 0.95330 -1.11443 4.22617 0.0 0.0 0.0 -1.20
P -0.31649 -0.96638 0.17412 0.1 -0.2 -0.1 -0.12
H 1.86769 -4.67161 -0.49334 0.0 0.0 0.0 0.25
C -3.87874 -2.11865 -1.74610 0.0 0.0 0.0 -1.20
H 2.82546 -1.08997 2.15613 0.0 0.0 0.0 0.59
H -3.71827 1.50747 2.85757 0.0 0.0 0.0 0.52
O 2.35120 -1.70310 -3.25075 -0.2 0.0 0.2 -0.53
H 1.41970 -3.25990 2.57431 0.0 0.0 0.0 0.57
C 3.20250 4.40838 -1.40599 -0.1 0.1 0.0 -0.61
H -4.75902 -1.55729 -2.05880 0.0 0.0 0.0 0.48
H -2.05052 0.45074 -0.21427 0.0 0.0 0.0 0.50
H -2.63847 -3.87676 0.03768 0.0 0.0 0.0 0.58
C -0.37647 3.32267 -3.30401 0.0 0.1 0.0 -0.52
H -3.32901 3.52791 1.75018 0.0 0.0 0.0 0.53
C 0.51530 -2.69630 2.32371 -0.1 0.0 0.0 -0.96
H -1.51413 -3.41652 -2.35367 0.0 0.0 0.0 0.59
H -0.98626 -1.58274 3.40129 0.0 0.0 0.0 0.04
C 0.95080 -1.63980 1.29500 0.1 0.2 0.2 1.30
H 1.29869 6.10119 -2.29401 0.0 0.0 0.0 0.45
C -1.36137 0.42362 0.63909 0.0 0.2 0.0 0.73
H -4.15210 0.98259 1.24885 0.0 0.0 0.0 0.24
C -2.63333 -1.59097 -2.45128 0.0 0.0 0.1 -0.37
H 3.44279 5.45340 -1.24701 0.0 0.0 0.0 0.50
C -3.32425 1.35983 1.85260 0.1 0.0 -0.1 -0.95
H 2.08495 0.64485 3.68334 0.0 0.0 0.0 0.55
N 2.54225 1.74323 -1.75863 -0.1 0.5 -0.3 -0.59
C 0.46606 2.34511 -2.85873 0.0 -0.1 0.0 -0.54
H -3.06076 2.76223 0.20512 0.0 0.0 0.0 0.30
C 1.05578 5.05693 -2.44808 0.0 0.0 0.0 -0.91
O 4.12637 -0.25148 -1.48079 0.0 0.6 0.6 -0.53
H 0.43685 1.61044 1.08057 0.0 0.0 0.0 0.01
H -1.05544 2.77050 2.50880 0.0 0.0 0.0 0.36
'''
• Here the text continues:
Can I participate in the program while working or attending school?
The program offers flexible scheduling with part-time engagement, catering to working professionals and students alike.
How do I apply for the program, and what is the deadline?
The deadline varies based on the campus where you wish to take the courses. Please complete the online interest form, and we will share specific registration information with you.
What kind of support services are available for participants?
Support services include stipends for transportation, subsidies for child care, and career planning and academic support.